[Material]
(1)
# Na3Hg2Pd4
Calculated X-ray powder pattern, Cu Kα, 1.54184 Å. Input: the GGA-PBE geometry in Alexandria.

Top 12 peaks for 10° ≤ 2θ ≤ 90°, sorted by position:
h k l	Position (°2θ)	I/Imax
2 0 0	17.44	40
2 0 -1	19.09	100
0 0 2	20.72	14
1 1 1	24.01	17
3 1 0	32.73	26
4 0 -1	35.49	25
1 1 -3	37.02	26
0 2 0	38.84	34
1 1 3	39.02	59
3 1 2	40.97	41
2 2 -1	43.63	25
4 0 -3	44.47	16

Structure:
```
data_Na3Hg2Pd4
_chemical_formula_sum 'Na6 Hg4 Pd8'
_space_group_name_H-M_alt 'C 1 2/m 1'
_space_group_IT_number 12
_space_group_name_Hall '-C 2y'
_cell_length_a 10.256
_cell_length_b 4.637
_cell_length_c 8.648
_cell_angle_alpha 90.00
_cell_angle_beta 97.54
_cell_angle_gamma 90.00
loop_
_atom_site_label
_atom_site_type_symbol
_atom_site_fract_x
_atom_site_fract_y
_atom_site_fract_z
Na1 Na 0.000 0.000 0.000
Na2 Na 0.123 0.500 0.384
Hg1 Hg 0.187 0.500 0.758
Pd1 Pd 0.085 0.000 0.629
Pd2 Pd 0.245 0.500 0.084
```


(2)
# NaHg6Pd4
Calculated X-ray powder pattern, Cu Kα, 1.54184 Å. Input: the GGA-PBE geometry in Alexandria.

Top 12 peaks for 10° ≤ 2θ ≤ 90°, sorted by position:
h k l	Position (°2θ)	I/Imax
1 1 0	15.14	53
2 0 -2	24.81	51
1 3 0	29.27	51
2 2 -2	30.55	85
0 0 2	35.20	19
4 0 -2	35.62	18
1 3 -2	38.67	100
3 3 -1	38.83	28
2 0 1	39.60	57
2 4 -1	39.84	37
4 2 -2	39.95	35
2 4 1	54.25	20

Structure:
```
data_NaHg6Pd4
_chemical_formula_sum 'Na2 Hg12 Pd8'
_space_group_name_H-M_alt 'C 1 m 1'
_space_group_IT_number 8
_space_group_name_Hall 'C -2y'
_cell_length_a 10.082
_cell_length_b 10.127
_cell_length_c 7.169
_cell_angle_alpha 90.00
_cell_angle_beta 134.67
_cell_angle_gamma 90.00
loop_
_atom_site_label
_atom_site_type_symbol
_atom_site_fract_x
_atom_site_fract_y
_atom_site_fract_z
Na1 Na 0.000 0.000 0.000
Hg1 Hg 0.105 0.000 0.568
Hg2 Hg 0.215 0.323 0.431
Hg3 Hg 0.249 0.250 0.000
Hg4 Hg 0.462 0.000 0.568
Pd1 Pd 0.235 0.500 0.142
Pd2 Pd 0.405 0.000 0.141
Pd3 Pd 0.427 0.165 0.856
```


(3)
# NaHg2Pd3
Calculated X-ray powder pattern, Cu Kα, 1.54184 Å. Input: the GGA-PBE geometry in Alexandria.

Top 12 peaks for 10° ≤ 2θ ≤ 90°, sorted by position:
h k l	Position (°2θ)	I/Imax
1 0 1	23.26	25
0 0 3	23.53	7
0 1 2	27.00	8
1 1 0	38.38	100
1 0 4	38.73	96
1 1 3	45.51	7
0 2 4	55.66	33
3 0 0	69.40	17
2 1 4	69.63	34
0 1 8	70.34	17
2 2 0	82.19	11
2 0 8	83.08	12

Structure:
```
data_NaHg2Pd3
_chemical_formula_sum 'Na2 Hg4 Pd6'
_space_group_name_H-M_alt 'P -3 m 1'
_space_group_IT_number 164
_space_group_name_Hall '-P 3 2"'
_cell_length_a 4.6912
_cell_length_b 4.6912
_cell_length_c 11.3406
_cell_angle_alpha 90.00
_cell_angle_beta 90.00
_cell_angle_gamma 120.00
loop_
_atom_site_label
_atom_site_type_symbol
_atom_site_fract_x
_atom_site_fract_y
_atom_site_fract_z
Na1 Na 0.3333 0.6667 0.1693
Hg1 Hg 0.0000 0.0000 0.0000
Hg2 Hg 0.0000 0.0000 0.5000
Hg3 Hg 0.3333 0.6667 0.6741
Pd1 Pd 0.0000 0.0000 0.2537
Pd2 Pd 0.3333 0.6667 0.4227
Pd3 Pd 0.3333 0.6667 0.9222
```


(4)
# Na3Hg3Pd
Calculated X-ray powder pattern, Cu Kα, 1.54184 Å. Input: the GGA-PBE geometry in Alexandria.

Top 12 peaks for 10° ≤ 2θ ≤ 90°, sorted by position:
h k l	Position (°2θ)	I/Imax
1 1 0	14.76	28
0 0 2	18.93	88
0 2 1	19.83	33
2 2 0	29.77	47
1 3 -1	30.29	31
1 3 1	30.64	59
2 2 -2	34.90	100
2 2 2	36.12	37
3 1 0	37.39	23
0 0 4	38.43	38
3 1 1	39.07	27
1 3 3	41.47	59

Structure:
```
data_Na3Hg3Pd
_chemical_formula_sum 'Na12 Hg12 Pd4'
_space_group_name_H-M_alt 'C 1 2/m 1'
_space_group_IT_number 12
_space_group_name_Hall '-C 2y'
_cell_length_a 7.434
_cell_length_b 10.193
_cell_length_c 9.387
_cell_angle_alpha 90.00
_cell_angle_beta 92.59
_cell_angle_gamma 90.00
loop_
_atom_site_label
_atom_site_type_symbol
_atom_site_fract_x
_atom_site_fract_y
_atom_site_fract_z
Na1 Na 0.000 0.166 0.000
Na2 Na 0.000 0.247 0.500
Na3 Na 0.095 0.500 0.787
Hg1 Hg 0.034 0.000 0.313
Hg2 Hg 0.222 0.304 0.238
Pd1 Pd 0.192 0.500 0.461
```


(5)
# Na2Hg5Pd5
Calculated X-ray powder pattern, Cu Kα, 1.54184 Å. Input: the GGA-PBE geometry in Alexandria.

Top 12 peaks for 10° ≤ 2θ ≤ 90°, sorted by position:
h k l	Position (°2θ)	I/Imax

[Job]
Restate all of the contents further above without altering anything.

[Response]
(1)
# Na3Hg2Pd4
Calculated X-ray powder pattern, Cu Kα, 1.54184 Å. Input: the GGA-PBE geometry in Alexandria.

Top 12 peaks for 10° ≤ 2θ ≤ 90°, sorted by position:
h k l	Position (°2θ)	I/Imax
2 0 0	17.44	40
2 0 -1	19.09	100
0 0 2	20.72	14
1 1 1	24.01	17
3 1 0	32.73	26
4 0 -1	35.49	25
1 1 -3	37.02	26
0 2 0	38.84	34
1 1 3	39.02	59
3 1 2	40.97	41
2 2 -1	43.63	25
4 0 -3	44.47	16

Structure:
```
data_Na3Hg2Pd4
_chemical_formula_sum 'Na6 Hg4 Pd8'
_space_group_name_H-M_alt 'C 1 2/m 1'
_space_group_IT_number 12
_space_group_name_Hall '-C 2y'
_cell_length_a 10.256
_cell_length_b 4.637
_cell_length_c 8.648
_cell_angle_alpha 90.00
_cell_angle_beta 97.54
_cell_angle_gamma 90.00
loop_
_atom_site_label
_atom_site_type_symbol
_atom_site_fract_x
_atom_site_fract_y
_atom_site_fract_z
Na1 Na 0.000 0.000 0.000
Na2 Na 0.123 0.500 0.384
Hg1 Hg 0.187 0.500 0.758
Pd1 Pd 0.085 0.000 0.629
Pd2 Pd 0.245 0.500 0.084
```


(2)
# NaHg6Pd4
Calculated X-ray powder pattern, Cu Kα, 1.54184 Å. Input: the GGA-PBE geometry in Alexandria.

Top 12 peaks for 10° ≤ 2θ ≤ 90°, sorted by position:
h k l	Position (°2θ)	I/Imax
1 1 0	15.14	53
2 0 -2	24.81	51
1 3 0	29.27	51
2 2 -2	30.55	85
0 0 2	35.20	19
4 0 -2	35.62	18
1 3 -2	38.67	100
3 3 -1	38.83	28
2 0 1	39.60	57
2 4 -1	39.84	37
4 2 -2	39.95	35
2 4 1	54.25	20

Structure:
```
data_NaHg6Pd4
_chemical_formula_sum 'Na2 Hg12 Pd8'
_space_group_name_H-M_alt 'C 1 m 1'
_space_group_IT_number 8
_space_group_name_Hall 'C -2y'
_cell_length_a 10.082
_cell_length_b 10.127
_cell_length_c 7.169
_cell_angle_alpha 90.00
_cell_angle_beta 134.67
_cell_angle_gamma 90.00
loop_
_atom_site_label
_atom_site_type_symbol
_atom_site_fract_x
_atom_site_fract_y
_atom_site_fract_z
Na1 Na 0.000 0.000 0.000
Hg1 Hg 0.105 0.000 0.568
Hg2 Hg 0.215 0.323 0.431
Hg3 Hg 0.249 0.250 0.000
Hg4 Hg 0.462 0.000 0.568
Pd1 Pd 0.235 0.500 0.142
Pd2 Pd 0.405 0.000 0.141
Pd3 Pd 0.427 0.165 0.856
```


(3)
# NaHg2Pd3
Calculated X-ray powder pattern, Cu Kα, 1.54184 Å. Input: the GGA-PBE geometry in Alexandria.

Top 12 peaks for 10° ≤ 2θ ≤ 90°, sorted by position:
h k l	Position (°2θ)	I/Imax
1 0 1	23.26	25
0 0 3	23.53	7
0 1 2	27.00	8
1 1 0	38.38	100
1 0 4	38.73	96
1 1 3	45.51	7
0 2 4	55.66	33
3 0 0	69.40	17
2 1 4	69.63	34
0 1 8	70.34	17
2 2 0	82.19	11
2 0 8	83.08	12

Structure:
```
data_NaHg2Pd3
_chemical_formula_sum 'Na2 Hg4 Pd6'
_space_group_name_H-M_alt 'P -3 m 1'
_space_group_IT_number 164
_space_group_name_Hall '-P 3 2"'
_cell_length_a 4.6912
_cell_length_b 4.6912
_cell_length_c 11.3406
_cell_angle_alpha 90.00
_cell_angle_beta 90.00
_cell_angle_gamma 120.00
loop_
_atom_site_label
_atom_site_type_symbol
_atom_site_fract_x
_atom_site_fract_y
_atom_site_fract_z
Na1 Na 0.3333 0.6667 0.1693
Hg1 Hg 0.0000 0.0000 0.0000
Hg2 Hg 0.0000 0.0000 0.5000
Hg3 Hg 0.3333 0.6667 0.6741
Pd1 Pd 0.0000 0.0000 0.2537
Pd2 Pd 0.3333 0.6667 0.4227
Pd3 Pd 0.3333 0.6667 0.9222
```


(4)
# Na3Hg3Pd
Calculated X-ray powder pattern, Cu Kα, 1.54184 Å. Input: the GGA-PBE geometry in Alexandria.

Top 12 peaks for 10° ≤ 2θ ≤ 90°, sorted by position:
h k l	Position (°2θ)	I/Imax
1 1 0	14.76	28
0 0 2	18.93	88
0 2 1	19.83	33
2 2 0	29.77	47
1 3 -1	30.29	31
1 3 1	30.64	59
2 2 -2	34.90	100
2 2 2	36.12	37
3 1 0	37.39	23
0 0 4	38.43	38
3 1 1	39.07	27
1 3 3	41.47	59

Structure:
```
data_Na3Hg3Pd
_chemical_formula_sum 'Na12 Hg12 Pd4'
_space_group_name_H-M_alt 'C 1 2/m 1'
_space_group_IT_number 12
_space_group_name_Hall '-C 2y'
_cell_length_a 7.434
_cell_length_b 10.193
_cell_length_c 9.387
_cell_angle_alpha 90.00
_cell_angle_beta 92.59
_cell_angle_gamma 90.00
loop_
_atom_site_label
_atom_site_type_symbol
_atom_site_fract_x
_atom_site_fract_y
_atom_site_fract_z
Na1 Na 0.000 0.166 0.000
Na2 Na 0.000 0.247 0.500
Na3 Na 0.095 0.500 0.787
Hg1 Hg 0.034 0.000 0.313
Hg2 Hg 0.222 0.304 0.238
Pd1 Pd 0.192 0.500 0.461
```


(5)
# Na2Hg5Pd5
Calculated X-ray powder pattern, Cu Kα, 1.54184 Å. Input: the GGA-PBE geometry in Alexandria.

Top 12 peaks for 10° ≤ 2θ ≤ 90°, sorted by position:
h k l	Position (°2θ)	I/Imax